Mars Hill Proclaimer
St. Paul's Episcopal Church July Newsletter 2023
Dear St. Paul's Parish,

 Just a girl and her dog....  Oskar and I took a long walk today at Afton South Prairie Forest Preserve.  Oskar loves to run into the tall prairie grass and leap in joy and race back and forth leaping again and again.  He stops and watches me peeking from behind the blades of grass. I stare back at him and we start a game of tag..... It's hard to be sad with my dog smiling at me with his big tongue hanging out. 

# Unrelated to this piece: crystal structures
=====
# 1
Starting from a crystal structure in Alexandria, relaxed with PBE, the powder diffraction line list of Cs6RbHgF was calculated for Cu Kα (weighted mean of Kα1 and Kα2).
Lines closer than 0.1° are merged.

Cell and atoms:
Unit cell a=9.596 b=9.596 c=8.969 alpha=90.02 beta=90.02 gamma=120.04
Sites, in units of the cell vectors:
Cs (0.110, 0.110, 0.289)
Cs (0.110, 0.432, 0.711)
Cs (0.568, 0.890, 0.289)
Cs (0.569, 0.110, 0.711)
Cs (0.890, 0.431, 0.289)
Cs (0.890, 0.890, 0.711)
Rb (0.523, 0.477, 0.000)
Hg (0.189, 0.811, 0.500)
F (0.856, 0.144, 0.500)

Most intense lines, 2θ = 10–90°, by angle:
14.53 deg, I 53
21.00 deg, I 100
21.39 deg, I 25
27.22 deg, I 74
30.15 deg, I 67
32.32 deg, I 29
35.38 deg, I 26
40.41 deg, I 24



# 2
Starting from a crystal structure in Alexandria, relaxed with PBE, the powder diffraction line list of Pu4Se3Cl2 was calculated for Cu Kα (weighted mean of Kα1 and Kα2).
Lines closer than 0.1° are merged.

Cell and atoms:
Unit cell a=7.107 b=7.107 c=10.203 alpha=119.32 beta=119.32 gamma=33.49
Sites, in units of the cell vectors:
Pu (0.105, 0.105, 0.409)
Pu (0.294, 0.294, 0.198)
Pu (0.706, 0.706, 0.802)
Pu (0.895, 0.895, 0.591)
Se (0.312, 0.312, 0.715)
Se (0.500, 0.500, 0.500)
Se (0.688, 0.688, 0.285)
Cl (0.106, 0.106, 0.893)
Cl (0.894, 0.894, 0.107)

Most intense lines, 2θ = 10–90°, by angle:
10.09 deg, I 34
26.74 deg, I 49
30.65 deg, I 100
31.13 deg, I 45
43.58 deg, I 18
43.91 deg, I 35
44.61 deg, I 34
55.09 deg, I 27



# 3
Starting from a crystal structure in Alexandria, relaxed with PBE, the powder diffraction line list of AcDy4Si4 was calculated for Cu Kα (weighted mean of Kα1 and Kα2).
Lines closer than 0.1° are merged.

Cell and atoms:
Unit cell a=9.414 b=9.414 c=5.683 alpha=90.00 beta=90.00 gamma=90.00
Sites, in units of the cell vectors:
Ac (0.250, 0.250, 0.250)
Ac (0.750, 0.750, 0.750)
Dy (0.111, 0.633, 0.128)
Dy (0.133, 0.889, 0.628)
Dy (0.367, 0.611, 0.628)
Dy (0.389, 0.867, 0.128)
Dy (0.611, 0.133, 0.872)
Dy (0.633, 0.389, 0.372)
Dy (0.867, 0.111, 0.372)
Dy (0.889, 0.367, 0.872)
Si (0.061, 0.578, 0.637)
Si (0.078, 0.939, 0.137)
Si (0.422, 0.561, 0.137)
Si (0.439, 0.922, 0.637)
Si (0.561, 0.078, 0.363)
Si (0.578, 0.439, 0.863)
Si (0.922, 0.061, 0.863)
Si (0.939, 0.422, 0.363)

Most intense lines, 2θ = 10–90°, by angle:
18.23 deg, I 35
26.35 deg, I 100
30.02 deg, I 95
31.14 deg, I 36
32.93 deg, I 49
37.92 deg, I 37
42.95 deg, I 42
58.84 deg, I 25



# 4
Starting from a crystal structure in Alexandria, relaxed with PBE, the powder diffraction line list of DyGa2O4 was calculated for Cu Kα (weighted mean of Kα1 and Kα2).
Lines closer than 0.1° are merged.

Cell and atoms:
Unit cell a=4.527 b=4.527 c=5.327 alpha=90.00 beta=90.00 gamma=90.00
Sites, in units of the cell vectors:
Dy (0.000, 0.000, 0.000)
Ga (0.000, 0.500, 0.500)
Ga (0.500, 0.000, 0.500)
O (0.242, 0.242, 0.293)
O (0.242, 0.758, 0.707)
O (0.758, 0.242, 0.707)
O (0.758, 0.758, 0.293)

Most intense lines, 2θ = 10–90°, by angle:
19.61 deg, I 48
=====

  We are sad though and the loss of our friend and treasurer, Rick Johns, will be felt for a long time. For me, a comforting memory of Rick is the Sunday when we unexpectedly didn't have a rector.  We had determined that we would go forward with the Liturgy of the Word.  With just a few minutes of preparation, Rick just led the parish with such grace that I found it beautiful.  As Marilyn reminds me, "we are the church." Rick seemed led by the holy spirit as he delivered a sermon with as much ease as breathing.  It felt empowering and special to do this service on our own. Thank you, Rick, for all you did and were for St. Paul's.  You will be missed.

Someone pasted records of crystals at this point:
<<<
Starting from a DFT-relaxed cell (GGA-PBE, Alexandria), the XRD peak list of Nb14MoOs was simulated for Cu Kα (weighted mean of Kα1 and Kα2).

Structure:
```
data_Nb14MoOs
_space_group_name_H-M_alt 'C m m m'
_space_group_IT_number 65
_space_group_name_Hall '-C 2 2'
_cell_length_a 6.551
_cell_length_b 9.317
_cell_length_c 9.302
_cell_angle_alpha 90.00
_cell_angle_beta 90.00
_cell_angle_gamma 90.00
loop_
_atom_site_label
_atom_site_type_symbol
_atom_site_fract_x
_atom_site_fract_y
_atom_site_fract_z
Nb1 Nb 0.000 0.000 0.000
Nb2 Nb 0.000 0.249 0.251
Nb3 Nb 0.000 0.500 0.000
Nb4 Nb 0.249 0.500 0.260
Nb5 Nb 0.250 0.250 0.000
Nb6 Nb 0.250 0.250 0.500
Mo1 Mo 0.000 0.500 0.500
Os1 Os 0.000 0.000 0.500
```

Most intense lines, 10° ≤ 2θ ≤ 80°, by intensity:
| d_spacing | 2θ/deg | I (rel.) | index |
| --- | --- | --- | --- |
| 2.322 | 38.78 | 100 | 2 2 2 |
| 2.327 | 38.69 | 50 | 0 4 0 |
| 1.343 | 70.08 | 33 | 2 6 2 |
| 1.646 | 55.87 | 17 | 0 4 4 |
| 1.339 | 70.28 | 17 | 4 4 0 |
| 1.638 | 56.16 | 8 | 4 0 0 |
| 4.648 | 19.10 | 3 | 0 0 2 |
| 5.359 | 16.54 | 1 | 1 1 0 |
| 2.684 | 33.38 | 1 | 2 2 0 |
| 4.165 | 21.33 | 1 | 0 2 1 |



Starting from a DFT-relaxed cell (GGA-PBE, Alexandria), the XRD peak list of PaNbMo was simulated for Cu Kα (weighted mean of Kα1 and Kα2).

Structure:
```
data_PaNbMo
_space_group_name_H-M_alt 'P 3 m 1'
_space_group_IT_number 156
_space_group_name_Hall 'P 3 -2"'
_cell_length_a 4.6589
_cell_length_b 4.6589
_cell_length_c 3.0606
_cell_angle_alpha 90.00
_cell_angle_beta 90.00
_cell_angle_gamma 120.00
loop_
_atom_site_label
_atom_site_type_symbol
_atom_site_fract_x
_atom_site_fract_y
_atom_site_fract_z
Pa1 Pa 0.0000 0.0000 0.0000
Nb1 Nb 0.3333 0.6667 0.6852
Mo1 Mo 0.6667 0.3333 0.2930
```

Most intense lines, 10° ≤ 2θ ≤ 80°, by intensity:
| d_spacing | 2θ/deg | I (rel.) | index |
| --- | --- | --- | --- |
| 2.438 | 36.86 | 100 | 1 0 1 |
| 2.329 | 38.65 | 84 | 1 1 0 |
| 1.684 | 54.48 | 33 | 0 2 1 |
| 1.365 | 68.78 | 33 | 2 1 1 |
| 4.035 | 22.03 | 32 | 1 0 0 |
| 1.431 | 65.20 | 21 | 0 1 2 |
| 1.345 | 69.95 | 15 | 3 0 0 |
| 1.854 | 49.15 | 13 | 1 1 1 |
| 1.219 | 78.44 | 13 | 2 0 2 |
| 3.061 | 29.18 | 9 | 0 0 1 |



Starting from a DFT-relaxed cell (GGA-PBE, Alexandria), the XRD peak list of PaTaNbMo was simulated for Cu Kα (weighted mean of Kα1 and Kα2).

Structure:
```
data_PaTaNbMo
_space_group_name_H-M_alt 'F -4 3 m'
_space_group_IT_number 216
_space_group_name_Hall 'F -4 2 3'
_cell_length_a 6.729
_cell_length_b 6.729
_cell_length_c 6.729
_cell_angle_alpha 90.00
_cell_angle_beta 90.00
_cell_angle_gamma 90.00
loop_
_atom_site_label
_atom_site_type_symbol
_atom_site_fract_x
_atom_site_fract_y
_atom_site_fract_z
Pa1 Pa 0.000 0.000 0.000
Ta1 Ta 0.000 0.000 0.500
Nb1 Nb 0.250 0.250 0.750
Mo1 Mo 0.250 0.250 0.250
```

Most intense lines, 10° ≤ 2θ ≤ 80°, by intensity:
| d_spacing | 2θ/deg | I (rel.) | index |
| --- | --- | --- | --- |
| 2.379 | 37.82 | 100 | 2 2 0 |
| 1.373 | 68.29 | 36 | 4 2 2 |
| 1.682 | 54.55 | 17 | 4 0 0 |
>>>

   Matthew 18:20 "For where two or three are gathered together in my name, there am I in the midst of them, " Peg recited.  In preparation for the visitation and funeral, Peg and I asked Pastor Dan Shutters to bless water for the baptismal font at the entrance to the sanctuary. Our Betsy Pool threw this beautiful piece of pottery and Rhys created the well-matching wooden stand. Then, Pastor Shutters lead Peg and me on page 306 of the Book of Common Prayer for the Thanksgiving over the Water..  This simple blessing touched me more than I expected.  

   Pastor Shutters and his wife, Jean, are from Grayslake. Pastor Shutters brought his Magic Show for coffee hour on June 25, "Magic in Ministry." He knew we were sad. He was very kind and his show was offered with great love and respect.  He brought copies of his books too.  On June 18, Pastor Dave Peters of Frankfort, IL presided on Father's Day.  On June 4, Pastor Ron Larson of Mount Morris presided services and the blessing of our parish garden. His wife, Karen, plays the organ at their home church in Mount Morris. Pastor Larson is coming back on August 6.  

   I want you to know that St. Paul's has supply clergy scheduled through September 24. Please help us welcome Fr Alonzo Pruitt from Oak Park back for the first four Sundays in July. When a newer visitor requested a Bible, Father Pruitt made it a joyous occasion on June 11 when a gift of a Bible was given during the service. 
   We have had a recent request for a baptism of an adult. We are working out plans to offer a Catechism class.  The Outline of the Faith can be found on page 845 of the Book of Common Prayer. Please contact the office or me if you wish to join in this class.  

   I am looking for volunteers for a Rectory Advisory Committee. This committee will prioritize and plan work needed to be done in the rectory. Please contact me directly. 
   I am looking for a volunteer to see that the St Timothy Childrens Area in the basement & the children area in the sanctuary is all in order. The blessing of children in a joyous gift & to see them enjoy our space is a gift.

   I've learned of a Retreat Center in Hampshire, IL that Mother Hiede H. recommended.  Please let me or Peg know if this might interest you.

   While our parish is in transition, arrangements have been made if you or your family need a priest. If there is a surgery or a serious illness, we have made arrangements for your pastoral care. Please contact the church office during office hours or contact me.  I am appreciative to Father Georges Jallouf of St. Peter's Sycamore and Father Mike Dwyer of our Rockford Deanery for their joyful commitment to us. 

    Recently, I've learned of a third option for online Christian Education.   Local Pastor John Seraphine teaches classes on Thursdays at 11:30 AM. and Mondays at 7:00 PM. From our Rockford Deanery Father Mike Dwyer teaches a Bible Study on Wednesday at 10:00 a.m. Please contact the church office or me to connect with either.  
   I ask for you to continually pray for the priest that is searching for us and for whom we are searching. God bless our visiting clergy. Many thanks to Fr. Jallouf, Fr. Dwyer, and Pastor Hansen for being present and supportive.   

Your Senior Warden, Jennie C.

Green Team meetings variable due to weather

## What comes next are materials data, not part of the entry
+++
# RbLi2WF8
Computed powder diffraction line list, Cu Kα (weighted mean of Kα1 and Kα2). Input: a PBE+U-relaxed structure.

Lattice parameters (Å, degrees): 8.210 8.210 8.210 39.40 39.40 39.40
Atoms (fractional coordinates):
Rb1 0.000 0.000 0.000
Li1 0.265 0.265 0.265
Li2 0.735 0.735 0.735
W1 0.500 0.500 0.500
F1 0.116 0.622 0.622
F2 0.341 0.341 0.341
F3 0.378 0.378 0.884
F4 0.378 0.884 0.378
F5 0.622 0.116 0.622
F6 0.622 0.622 0.116
F7 0.659 0.659 0.659
F8 0.884 0.378 0.378

Principal peaks in the range 15° ≤ 2θ ≤ 90°, sorted by position:
2θ/deg, intensity
18.9, 45
20.1, 100
23.5, 32
24.3, 99
32.4, 43
38.4, 22
40.4, 56
49.8, 23
53.1, 23
59.2, 24

=====

This entry pairs a crystal structure of LiNb2P3O12 with its simulated powder diffractogram. Radiation: λ = 1.5418 Å (Cu Kα). Structure: a structure optimized by DFT (GGA-PBE).
Peak positions follow from Bragg's law for the DFT cell and can differ from measured ones.

Main lines, in order of falling intensity (5 to 70 degrees two-theta):
19.92 deg, I 100
23.46 deg, I 37
34.93 deg, I 34
28.40 deg, I 28
20.00 deg, I 24
54.52 deg, I 24
14.06 deg, I 22
31.82 deg, I 22
45.63 deg, I 19
23.34 deg, I 19
34.82 deg, I 18
28.20 deg, I 14

```
36
Lattice="7.721 -4.449 0.000 7.721 4.449 0.000 -5.087 0.000 7.276" Properties=species:S:1:pos:R:3 pbc="T T T"
Li 5.178 2.733 3.638
Li 7.721 -2.733 0.000
Nb 5.749 2.193 0.398
Nb 5.791 2.211 6.585
Nb 3.206 -2.193 4.036
Nb 8.335 -2.211 2.947
P -1.621 0.936 5.303
P 0.922 -0.936 1.665
P 2.888 0.969 5.262
P 5.432 -0.969 1.624
P 8.358 0.357 5.338
P 10.902 -0.357 1.700
O 4.445 3.183 1.773
O 0.746 0.611 1.593
O -0.874 1.389 6.567
O 2.136 1.448 4.007
O -1.797 -0.611 5.231
O 7.237 2.880 1.667
O 9.443 3.107 0.401
O 2.118 1.341 6.539
O 4.286 1.648 5.209
O 5.604 0.565 1.617
O 1.670 -1.389 2.929
O 4.680 -1.448 0.369
O 3.061 -0.565 5.255
O 7.104 1.253 5.352
O 4.662 -1.341 2.901
O 10.852 0.495 0.426
O 6.829 -1.648 1.571
O 1.902 -3.183 5.411
O 8.308 -0.495 4.064
O 10.963 0.534 2.966
O 9.647 -1.253 1.714
O 4.693 -2.880 5.305
O 8.419 -0.534 6.604
O 6.900 -3.107 4.039
```

=====

Record 1
Simulated X-ray powder pattern of BaNi4Ir3S12 for Cu Kα (weighted mean of Kα1 and Kα2), from a PBE-relaxed structure.
Intensities are scaled so that the largest is 100.

Largest 10 diffraction maxima, in order of rising 2θ, 2θ = 15–90°:
Position (°2θ)  I (rel.)
19.35  51
23.53  65
26.71  69
28.25  100
30.29  31
36.79  43
45.30  40
49.22  29
50.94  28
51.30  34

Cell and atoms:
abc: 8.107 8.107 8.107
angles: 110.84 110.84 110.84
Positions (direct):
Ba: 0.000 0.000 0.000
Ni: 0.058 0.500 0.942
Ni: 0.500 0.500 0.500
Ni: 0.500 0.942 0.058
Ni: 0.942 0.058 0.500
Ir: 0.000 0.552 0.448
Ir: 0.448 0.000 0.552
Ir: 0.552 0.448 0.000
S: 0.109 0.891 0.500
S: 0.131 0.683 0.795
S: 0.205 0.317 0.869
S: 0.317 0.869 0.205
S: 0.343 0.657 0.500
S: 0.500 0.109 0.891
S: 0.500 0.343 0.657
S: 0.657 0.500 0.343
S: 0.683 0.795 0.131
S: 0.795 0.131 0.683
S: 0.869 0.205 0.317
S: 0.891 0.500 0.109

Record 2
+++
## The entry goes on

Zoom Bible Study - 7:00 PM

Zoom Bible Study - 10:00 AM

Zoom Bible Study - 11:30 AM
Green Team 8:00 AM


9:30 AM
Liturgy of The Word and Table
We have Supply Priests for Sundays
In Sanctuary and on Zoom
Coffee Hour following

11:00 AM
Catechism Class, July 2nd and 9th

In the afternoon of July 25th, over 175 people came to St. Paul's to comfort family and to be part of recognizing the life of one of St. Paul's most active and beloved members.

Rick Johns joined St. Paul's in late 1999 and has sung with Choir, played guitar for special services, built garden structures, served as Junior and Senior Warden, Treasurer, chaired the Lobster Boil Fund Raiser, and helped repair and refurbish many things around the building and grounds.

His memory surely is present in almost every corner of the building and every plant growing outside in the grounds.
St. Paul’s is delighted to partner with Episcopal Charities – the social outreach arm of the Diocese of Chicago – to fund the Fostering Food Security and Fellowship Project.  We recently applied for their Parish Partner Grant and were notified today that we will receive the award. The Parish Partner Grants Program of Episcopal Charities funds projects that are designed to meet the needs of the most vulnerable in local communities. We are grateful for the grant and excited to be in partnership with Episcopal Charities this year. To find out more about Episcopal Charities, click on this link:  

There will be a class on the first two Sundays in July at 11:00 AM talking about the Catechism of the Episcopal Church from the Book of Common Prayer and also using Welcome to the Episcopal Church by Christopher Webber.
You can find the Book of Common Prayer on line and we will have a few copies available. Christopher Webber's book is available at several on line sellers.
June, 2023

We will include a Treasurer's Report for June in next month's Mars Hill Proclaimer.
The month of June was simply like no other month at St Paul's in recent times. In June we experienced great sorrow, and also great joy.

The month began with excitement as the Green Team began expanding our existing garden. Our partnership with NIU brought us a young, energetic intern, Thomas, who quickly began turning the garden into a thing of beauty.

The Green Team expanded its membership with Rick, Steve, and Jane pitching in to help doing whatever was needed. Dolce Vita helped get us a generous supply of wood chips, and Barb Mart gave us cardboard every Thursday to help with our expansions.

But by the middle of the month, St Paul's and the Green Team suffered a great loss of one of our most faithful members. Rick Johns passed away on June18th, peacefully, at his home. Earlier that day, he had been working with Steve, cleaning out the back yard of the rectory, while other members were gardening.

His death was a great blow to the church. But, as families do, the family of St Paul's banded together, and Rick's funeral was an expression of teamwork and love. During the funeral, we announced that the church garden was to be named in Rick's memory.

Late June brought the Green Team a second intern, Odi, a recent NIU graduate. And it brought us wonderful news! St Paul's had been awarded the grant to expand our garden operations through Episcopal Charities! 

Now, much more information about the grant, and what that means for us as a church, will be coming in future announcements. But we can at least thank Kris and Tom for their hard work and for bringing this all to fruition!

And meanwhile, Kris and I will be looking for a suitable plaque for The Rick John's Memorial Garden. Rick's memory will live on over something much greater now than just a small, humble church garden.

Our work schedule is variable recently due to the poor air quality. We are still hoping to meet on Mondays and Thursdays, but Kris can be contacted with more information.

Respectfully submitted by Jo Plenger-Schulz 

St. Paul's
Episcopal Church Women (ECW) News

The ECW met on June 17th. Our time together included sharing remembrances and thanksgivings for Rick Johns. We also reflected on how losses affect us and shared those experiences. Our first effort at charitable giving has now ended. Barb Food Mart is the first recipient of our giving. A final total of monetary collections and tally of personal products will be available soon. We voted to match the monetary collection with ECW treasury funds. The next meeting will be on July 15th at 10 a.m. in Parish Hall. The main topic will be our next charitable event. Bring ideas! Please join us!

Submitted by Peg Newby

 On Tuesday, June 12, Shatoya Jackson, Director of the Youth Services Bureau; Pat Brown, Assistant Treasurer at St. Paul’s; and Lucinda Brunner stood together in front of the door to the Youth Services Board, where a check for $2000 was presented from St. Paul’s and accepted by Director Jackson. The funds will be utilized towards the Family Service Agencies Little Campers Summer Program which focuses on social-emotional learning along with life skills and other activities. Jackson explained that groups are focused on creative expression, anger management, bullying prevention, empowerment and leadership.

This $2000 donation from St. Paul’s will go a long way towards supporting this summer’s program. You can find the DeKalb Chronicle article here.
We have invitations to three Zoom Bible Studies. On Wednesday mornings at 10:00 AM you can join Fr. Mike Dwyer, our Rockford Dean, for a study of the the Book of Genesis. On Monday evenings you can join the Rev. John Seraphine, a member of Salem Lutheran Church, for a study of the Book of Exodus. The Rev. John also hosts a Zoom discussion group on Thursdays at 11:30 AM titled "Lunch and Learn". Contact the Parish Office for links if you'd like to participate.

Though the choir is off for the summer,
watch for "pop up" choir times!
Streaming Ministries
Enhancing the Quality of In-Person and On-Line Worship Services
Our streaming ministries sound and video system
continues to enhance our:

  • Intelligibility of spoken and sung worship in-person and on-line;

  • Ability to stream live via YouTube in tandem with Zoom to our Parishioners and community;

  • Ability to offer an Assisted Listening System (ALS) "Listen EVERYWHERE" to enhance their ability to hear the service more clearly.
Lynn Hansen, who has played flute at St. Paul's for Taize services and has attended services with her husband, the Rev. Bob Hansen, is a member of the Crosswinds Flute Choir.
A Senior Health Fair is being sponsored by several of DeKalb's local politicians and all are welcome to participate in the event at DeKalb High School.
The Rector's
Discretionary Fund Collection

Donations allow us to assist people in need
in our community.

Remember that donations can beailed at any time.
July Birthdays and Anniversaries


7/5                Jocelyn Prall
7/13              Mary Short
7/21              Marilyn Cleland
7/26              Peggy Dowen
7/29              Susan King
7/31              Steve DeGolier
7/31              James Wilson


7/16           Jo and Tim Plenger-Schulz
7/27        Rhys and Jocelyn Prall
7/27           Jimmy and Courtney Russell


St. Paul's Episcopal Church Contact Information

900 Normal Rd., DeKalb, IL 60115 
Parish Office: (815) 756-4888